Dollar, Dollar Bill

Kathy Hilton—who isn’t even a cast member but still regularly pops up, which means she wants to be on the show but doesn’t want cameras in her house all the time

No worries. It has Eco right in the name. 

(Calculated crystals, as found in the file)
'''
No. 1
Below is an optimized crystal structure of V3Cr3Si2, with properties calculated at the r2SCAN level.

Cell and atoms, written as extended XYZ:
```
8
Lattice="3.2327 1.8664 2.6421 -3.2327 1.8664 2.6421 0.0000 -3.7328 2.6421" Properties=species:S:1:pos:R:3 pbc="T T T"
V -2.4237 0.4651 2.6421
V 0.8091 -2.3315 2.6421
V 1.6146 1.8664 2.6421
Cr -0.8074 -1.3985 3.9631
Cr -0.8074 1.3985 3.9631
Cr 1.6148 0.0000 3.9631
Si 0.0000 0.0000 1.9881
Si 0.0000 0.0000 5.9380
```

Energy relative to the elements, eV/atom: -0.379
Crystal system: trigonal
Raw total energy, eV per atom: -13.51
Space group: R32

=====

No. 2
Below is an optimized crystal structure of TaCr2, with properties calculated at the r2SCAN level.

Cell and atoms, written as extended XYZ:
```
12
Lattice="4.8687 0.0000 0.0000 -2.4343 4.2164 0.0000 0.0000 0.0000 8.0059" Properties=species:S:1:pos:R:3 pbc="T T T"
Ta 0.0000 2.8109 0.4769
Ta 0.0000 2.8109 3.5260
Ta 2.4343 1.4055 4.4798
Ta 2.4343 1.4055 7.5290
Cr 0.0000 0.0000 0.0000
Cr 0.0000 0.0000 4.0029
Cr 0.0000 1.4324 6.0044
Cr -1.1939 3.5002 6.0044
Cr 1.2405 0.7162 2.0015
Cr 1.1939 3.5002 6.0044
Cr 3.6282 0.7162 2.0015
Cr 2.4343 2.7841 2.0015
```

Energy above the lowest structure with this stoichiometry, meV/atom: 15
Energy relative to the elements, eV/atom: 0.075
Crystal system: hexagonal
Raw total energy, eV per atom: -26.17
Space group: P6_3/mmc

=====

No. 3
Below is an optimized crystal structure of TaCr2, with properties calculated at the r2SCAN level.

Cell and atoms, written as extended XYZ:
```
6
Lattice="0.0000 3.4490 3.4490 3.4490 0.0000 3.4490 3.4490 3.4490 0.0000" Properties=species:S:1:pos:R:3 pbc="T T T"
Ta 0.8622 0.8622 0.8622
Ta 6.0357 6.0357 6.0357
Cr 3.4490 1.7245 1.7245
Cr 1.7245 3.4490 1.7245
Cr 1.7245 1.7245 3.4490
Cr 3.4490 3.4490 3.4490
```

Energy above the lowest structure with this stoichiometry, meV/atom: 0
Energy relative to the elements, eV/atom: 0.060
Crystal system: cubic
Raw total energy, eV per atom: -26.19
Space group: Fd-3m

=====

No. 4
Below is an optimized crystal structure of ZrTaCr4, with properties calculated at the r2SCAN level.

Cell and atoms, written as extended XYZ:
```
6
Lattice="0.0000 3.5016 3.5016 3.5016 0.0000 3.5016 3.5016 3.5016 0.0000" Properties=species:S:1:pos:R:3 pbc="T T T"
Zr 0.0000 0.0000 0.0000
Ta 1.7508 1.7508 1.7508
Cr 4.3751 2.6281 2.6281
Cr 2.6281 4.3751 2.6281
Cr 2.6281 2.6281 4.3751
Cr 4.3751 4.3751 4.3751
```

Energy relative to the elements, eV/atom: 0.117
Crystal system: cubic
Raw total energy, eV per atom: -21.82
Space group: F-43m

=====

No. 5
Below is an optimized crystal structure of CrTe3, with properties calculated at the r2SCAN level.

Cell and atoms, written as extended XYZ:
```
32
Lattice="8.2069 0.0000 0.0000 0.0000 11.5575 0.0000 -5.4617 0.0000 10.3338" Properties=species:S:1:pos:R:3 pbc="T T T"
Cr -0.9354 0.0028 1.7983
Cr -3.6663 5.7759 6.9652
Cr -2.6125 2.4942 5.2303
Cr 0.1184 3.2845 0.0634
Cr 2.6268 8.2730 10.2705
Cr 5.3577 9.0633 5.1036
'''

This is just a Nick Cannon joke waiting to happen, except it won’t be from Nick Cannon so it’ll be funny.

LOL, the U.S. is a net exporter of crude oil.... so, guess what... we do produce our own! The rest of your diatribe is similarly misinformed.

How long until he does something that violates equal housing rights?

I’m sure it’ll go fine when whatever’s left of Kanye’s Black fandom starts living shoulder-to-shoulder with Kanye’s new fandom of white supremacists. 

The shortage is a global situation. The EU is at its lowest supply since 2004, and the U.S. supply has dwindled in part due to the significant exports of diesel to the EU to assist with their shortages resulting from Russia’s war, the French refinery worker strike, and overall refinery closures due to the pandemic.

Yeah but this way the fossil fuel industry can help the GOP sweep the midterms and usher in our inevitable future as an authoritarian petro-state.

You know that liberals only occasionally use that term to mock you goobers for your absurd overuse of it, right?

As a Jewish person, I wouldn’t go patting the broader Jewish community on the back. There are plenty of very conservative Jewish folk who tolerate all sorts of bad behavior from politicians because Israel or something. Like I have Jewish relatives whose parents were Holocaust survivors who don’t think twice about

The article is interrupted by calculated crystals.
<<<
Computed, not measured: a relaxed MgCo6O9F3 crystal at the PBE with a Hubbard U level of DFT.

a = 4.806 Å, b = 4.806 Å, c = 8.943 Å
α = 90.00°, β = 90.00°, γ = 101.29°
Positions (direct):
F  0.185  0.815  0.167
F  0.805  0.195  0.854
F  0.805  0.195  0.479
O  0.178  0.822  0.487
O  0.693  0.686  0.324
O  0.693  0.686  0.009
O  0.686  0.714  0.667
O  0.826  0.174  0.167
O  0.178  0.822  0.846
O  0.314  0.307  0.324
O  0.314  0.307  0.009
O  0.286  0.314  0.667
Co  0.439  0.561  0.854
Co  0.001  0.999  0.007
Co  0.439  0.561  0.479
Co  0.001  0.999  0.326
Co  0.070  0.930  0.667
Co  0.573  0.427  0.167
Mg  0.708  0.292  0.667

Total magnetization ... 15.00 Bohr magnetons per cell
Polymorph energy (0 for the lowest one) ... 1.89 eV/f.u.
Electronic total energy ... -0.4028 Ry/atom


Here is an optimized crystal structure of HfTlCuS3 from Materials Project. Energies are from GGA-PBE.

Cell: 3.711 14.407 9.760 Å, 90.00 90.00 90.00°
Space group Cmcm (No. 63)
One atom of each set of equivalent atoms:
1 Hf 0.000 0.000 0.000 (multiplicity 4)
2 Tl 0.000 0.256 0.250 (multiplicity 4)
3 Cu 0.000 0.462 0.750 (multiplicity 4)
4 S 0.000 0.061 0.750 (multiplicity 4)
5 S 0.000 0.380 0.548 (multiplicity 8)

Output
VASP energy, eV per cell: -139.30
Calculated volume, Å³/atom: 21.7
Total energy after the MP2020 corrections, eV/atom: -6.06
Calculated formation energy, kJ/mol of formula units: -724

***

Here is an optimized crystal structure of HfTlCuSe3 from Materials Project. Energies are from GGA-PBE.

Cell: 3.853 14.908 10.147 Å, 90.00 90.00 90.00°
Space group Cmcm (No. 63)
One atom of each set of equivalent atoms:
1 Hf 0.000 0.000 0.000 (multiplicity 4)
2 Tl 0.000 0.248 0.250 (multiplicity 4)
3 Cu 0.000 0.465 0.750 (multiplicity 4)
4 Se 0.000 0.067 0.750 (multiplicity 4)
5 Se 0.000 0.376 0.549 (multiplicity 8)

Output
VASP energy, eV per cell: -128.08
Spin magnetization, μB/f.u.: 0.000
Calculated volume, Å³/atom: 24.3
Total energy after the MP2020 corrections, eV/atom: -5.57
Calculated formation energy, kJ/mol of formula units: -630

***

Here is an optimized crystal structure of Hf3Cu4Si2 from Materials Project. Energies are from GGA-PBE.

Cell: 6.2976 6.2976 3.9694 Å, 90.00 90.00 120.00°
Space group P-62m (No. 189)
One atom of each set of equivalent atoms:
1 Hf 0.0000 0.5862 0.0000 (multiplicity 3)
2 Cu 0.0000 0.0000 0.0000 (multiplicity 1)
3 Cu 0.0000 0.2477 0.5000 (multiplicity 3)
4 Si 0.3333 0.6667 0.5000 (multiplicity 2)

Output
VASP energy, eV per cell: -61.61
Calculated volume, Å³/atom: 15.1
Total energy after the MP2020 corrections, eV/atom: -6.83
Calculated formation energy, kJ/mol of formula units: -420
>>>
Here the article continues.

I’m confused, where in this article do we see anything about the servers caring about him or his opinions? Only thing I see is them calling out his constant mistreatment of them.

You sound like someone who yells at waiters

Time to see a bunch of lifted-bro! diesel trucks on the road with hoarded diesel swimming pools in their truck beds

most of us in the queer community”

I wish. I work paycheck to paycheck, and I’m still paying off student loans from the ‘90s. 

Unrelated to this entry: data records >
- - -
1.
Below is crystalline NdAl10Os2 at its relaxed geometry, with properties calculated at the GGA-PBE level.

The formation energy from the elements is -462 meV/atom. The space group is Cmcm.

```
26
Lattice="-4.461 -4.345 2.950 -0.456 -2.584 -6.371 6.904 -5.821 1.867" Properties=species:S:1:pos:R:3 pbc="T T T"
Nd 1.221 -8.489 3.179
Nd 0.767 -4.261 -4.732
Al 0.847 -6.879 0.454
Al 1.140 -5.871 -2.008
Al -1.626 -3.538 -2.756
Al 3.614 -9.212 1.202
Al 2.338 -4.480 0.158
Al -0.351 -8.270 -1.712
Al -3.803 -5.359 -2.646
Al -1.114 -1.570 -0.775
Al -3.113 -4.658 1.648
Al 5.101 -8.092 -3.202
Al 3.061 -6.372 -3.753
Al -1.073 -6.378 2.200
Al 1.087 -9.607 0.188
Al 0.900 -3.143 -1.742
Al 3.271 -6.529 1.708
Al -1.284 -6.221 -3.262
Al 3.980 -6.568 -1.032
Al -1.992 -6.182 -0.522
Al 2.518 -8.628 -2.049
Al -0.530 -4.122 0.496
Os 3.224 -4.203 -2.252
Os -0.228 -1.292 -3.185
Os -2.230 -2.172 1.475
Os 1.222 -5.083 2.409
```

=====

2.
Below is crystalline Te4Mo3WSe2S2 at its relaxed geometry, with properties calculated at the GGA-PBE level.

The formation energy from the elements is -535 meV/atom. As for the offset from the most stable computed form: 0.02 eV/f.u. The space group is P3m1.

```
12
Lattice="-2.207 -0.910 -2.416 1.096 -2.295 2.251 -34.718 10.610 27.721" Properties=species:S:1:pos:R:3 pbc="T T T"
Te -24.436 5.632 20.202
Te -15.816 3.123 10.885
Te -18.665 3.994 13.160
Te -21.587 4.762 17.927
Mo -3.263 -0.838 3.297
Mo -16.138 3.097 13.577
Mo -24.113 5.659 17.510
W -10.885 1.617 6.948
Se -3.112 -0.759 0.741
Se -5.619 0.007 2.743
S -10.928 1.504 9.417
S -8.639 0.805 7.589
```
- - -

Not just keys, but, you know, knobs and dials and switches. Did I need a touchscreen to change the volume of the radio or turn the AC cooler?

“Maybe your car should not rely on an unreliable outside source for daily operation?”

I’ll just save myself the trouble and pour some real bourbon in my Dr. Pepper.

Eventually the populated area will grow to encircle the airport.

To snag a sample of Fansville Reserve, you’ve got to sign up for Dr. Pepper’s “Pepper Perks” program. Once you sign up and log in, you must play a scratch-off game through the Perks website for a chance to win some Fansville. You can play daily throughout the duration of the promotion. So you can’t just, like, buy the